Listing >
/*
[1]
# PmThHgAu

PmThHgAu after structural relaxation (GGA-PBE, Alexandria via LeMat-Bulk).

The formation energy from the elements is -0.465 eV per atom. The energy is -70.44 eV per cell. The calculation puts the theoretical density at 12.09 g cm⁻³. The crystal system is cubic. The density of states at the Fermi level is 16.23 states/eV/cell.

Unit cell a=7.5227 b=7.5227 c=7.5227 alpha=90.00 beta=90.00 gamma=90.00
Closest atoms and distances in Å follow each position.
Space group F-43m (No. 216)
Inequivalent atoms, fractional coordinates:
Pm 0.0000 0.0000 0.0000 [4 per cell]  4 Au 3.26, 4 Hg 3.26
Th 0.0000 0.0000 0.5000 [4 per cell]  4 Hg 3.26, 4 Au 3.26
Hg 0.2500 0.2500 0.7500 [4 per cell]  4 Th 3.26, 4 Pm 3.26
Au 0.2500 0.2500 0.2500 [4 per cell]  4 Th 3.26, 4 Pm 3.26

[2]
# RuPt2RhS

RuPt2RhS after structural relaxation (GGA-PBE, Alexandria via LeMat-Bulk).

The energy is -29.36 eV per cell. The calculation puts the theoretical density at 11.92 g cm⁻³. As for the formation energy (no corrections): 3.5 eV/f.u. The crystal system is tetragonal. The density of states at the Fermi level is 7.19 states/eV/cell.

Unit cell a=4.4862 b=4.4862 c=4.3353 alpha=90.00 beta=90.00 gamma=90.00
Closest atoms and distances in Å follow each position.
Space group P4/mmm (No. 123)
Inequivalent atoms, fractional coordinates:
Ru 0.0000 0.0000 0.0000 [1 per cell]  8 Pt 3.12, 4 Rh 3.17
Pt 0.0000 0.5000 0.5000 [2 per cell]  2 S 2.24
Rh 0.5000 0.5000 0.0000 [1 per cell]  2 S 2.17
S 0.5000 0.5000 0.5000 [1 per cell]  2 Rh 2.17, 4 Pt 2.24

[3]
# FeCuPt2

FeCuPt2 after structural relaxation (GGA-PBE, Alexandria via LeMat-Bulk).

The formation energy from the elements is 0.004 eV per atom. The energy is -98.50 eV per cell. The calculation puts the theoretical density at 14.67 g cm⁻³. The crystal system is cubic. The density of states at the Fermi level is 16.22 states/eV/cell.

Unit cell a=6.1334 b=6.1334 c=6.1334 alpha=90.00 beta=90.00 gamma=90.00
Closest atoms and distances in Å follow each position.
Space group F-43m (No. 216)
Inequivalent atoms, fractional coordinates:
Fe 0.0000 0.0000 0.0000 [4 per cell]  4 Cu 2.66, 4 Pt 2.66
Cu 0.2500 0.2500 0.2500 [4 per cell]  4 Pt 2.66, 4 Fe 2.66
Pt 0.0000 0.0000 0.5000 [4 per cell]  4 Pt 2.66, 4 Cu 2.66
Pt 0.2500 0.2500 0.7500 [4 per cell]  4 Fe 2.66, 4 Pt 2.66


(1)
Material: MgCdInPd
Method: DFT, PBE-GGA
State: relaxed

Structure (POSCAR):
```
MgCdInPd
1.0
-0.1215 1.3206 4.2163
1.7929 -3.3717 1.1078
3.9076 1.9176 -0.4880
Mg Cd In Pd
1 1 1 1
Direct
0.0000 0.7910 0.0000
0.0000 0.2905 0.5000
0.5000 0.7905 0.5000
0.5000 0.2908 0.0000
```

Properties
ΔE_f (eV/atom): -0.30
Calculated total energy (eV per atom): -2.914
Total magnetic moment (μB/cell): 0.00



(2)
Material: Mg5Cd2InPd2
Method: DFT, PBE-GGA
State: relaxed

Structure (POSCAR):
```
Mg5Cd2InPd2
1.0
3.7809 0.0000 0.0000
0.0000 10.5618 0.0000
0.0000 0.0000 10.5618
Mg Cd In Pd
10 4 2 4
Direct
0.5000 0.2086 0.0785
0.5000 0.7914 0.9215
0.5000 0.0785 0.7914
0.5000 0.7086 0.4215
0.5000 0.9215 0.2086
0.5000 0.2914 0.5785
0.5000 0.5785 0.7086
0.5000 0.4215 0.2914
0.5000 0.5000 0.0000
0.5000 0.0000 0.5000
0.0000 0.6687 0.1687
0.0000 0.3313 0.8313
0.0000 0.1687 0.3313
0.0000 0.8313 0.6687
0.0000 0.0000 0.0000
0.0000 0.5000 0.5000
0.0000 0.1238 0.6238
0.0000 0.8762 0.3762
0.0000 0.6238 0.8762
0.0000 0.3762 0.1238
```

Properties
ΔE_f (eV/atom): -0.28
Calculated total energy (eV per atom): -2.571
Total magnetic moment (μB/cell): 0.00



(3)
Material: PmMgCdIn
Method: DFT, PBE-GGA
State: relaxed

Structure (POSCAR):
```
PmMgCdIn
1.0
5.2183 0.0000 0.0000
2.6091 4.5191 0.0000
2.6091 1.5064 4.2607
Cd Mg In Pm
1 1 1 1
Direct
0.7500 0.7500 0.7500
0.5000 0.5000 0.5000
0.2500 0.2500 0.2500
0.0000 0.0000 0.0000
```

Properties
ΔE_f (eV/atom): -0.34
Calculated total energy (eV per atom): -2.838
Total magnetic moment (μB/cell): 0.00



(4)
Material: PmMg2Cd2In2
Method: DFT, PBE-GGA
State: relaxed

Structure (POSCAR):
```
PmMg2Cd2In2
1.0
4.8557 0.0000 0.0000
*/
Request >
Now say how many lines of the notes further up hold the word "distances", as a bare number.
Done >
3